Tackling Triggers
Tackling Triggers
Being ‘triggered’ is something we often hear out in the world, on socials and in TV shows. It’s quite an over-used colloquialism in these spaces. But, in a psychological sense, triggers are most often associated with traumatic events and diagnoses of PTSD and Complex-PTSD and they can be super problematic to navigate. Triggers are reminders of past traumas. This reminder can cause us to feel overwhelming sadness, anxiety or panic. Triggers can also then cause us to experience vivid pictures of memories of the traumatic event – flashbacks, making us feel that we are actually reliving the worst of those moments.
The entry is interrupted by materials data >
No. 1
TaHOs3: PBEsol geometry, SCAN.

Output
- raw total energy (eV per atom) = -57.228

Lattice parameters (Å, degrees): 3.934 3.934 3.934 90.00 90.00 90.00
Fractional coordinates of all 5 atoms:
Ta 0.000 0.000 0.000
H 0.500 0.500 0.500
Os 0.000 0.500 0.500
Os 0.500 0.000 0.500
Os 0.500 0.500 0.000


No. 2
Tc2H2Os: PBEsol geometry, SCAN.

Output
- raw total energy (eV per atom) = -29.672

Lattice parameters (Å, degrees): 6.258 6.258 6.258 153.92 153.92 37.22
Fractional coordinates of all 5 atoms:
Tc 0.151 0.151 0.000
Tc 0.849 0.849 0.000
H 0.250 0.750 0.500
H 0.750 0.250 0.500
Os 0.500 0.500 0.000


No. 3
TiH3Os: PBEsol geometry, SCAN.

Output
- raw total energy (eV per atom) = -19.604

Lattice parameters (Å, degrees): 3.440 3.440 3.440 90.00 90.00 90.00
Fractional coordinates of all 5 atoms:
Ti 0.000 0.000 0.000
H 0.000 0.500 0.500
H 0.500 0.000 0.500
H 0.500 0.500 0.000
Os 0.500 0.500 0.500


No. 4
Ti2H2Os: PBEsol geometry, SCAN.

Output
- raw total energy (eV per atom) = -22.838

Lattice parameters (Å, degrees): 5.946 5.946 5.946 150.85 150.85 41.70
Fractional coordinates of all 5 atoms:
Ti 0.142 0.142 0.000
Ti 0.858 0.858 0.000
H 0.250 0.750 0.500
H 0.750 0.250 0.500
Os 0.500 0.500 0.000


No. 5
TlH3Os: PBEsol geometry, SCAN.

Output
- raw total energy (eV per atom) = -28.957

Lattice parameters (Å, degrees): 3.769 3.769 3.769 90.00 90.00 90.00
Fractional coordinates of all 5 atoms:
Tl 0.000 0.000 0.000
H 0.000 0.000 0.500
H 0.000 0.500 0.000
H 0.500 0.000 0.000
Os 0.500 0.500 0.500


No. 6
V3HOs: PBEsol geometry, SCAN.

Output
- raw total energy (eV per atom) = -25.710

Lattice parameters (Å, degrees): 3.804 3.804 3.804 90.00 90.00 90.00
Fractional coordinates of all 5 atoms:
V 0.000 0.000 0.500
V 0.000 0.500 0.000
V 0.500 0.000 0.000
H 0.000 0.000 0.000
Os 0.500 0.500 0.500


No. 7
HOs2W: PBEsol geometry, SCAN.

Output
- raw total energy (eV per atom) = -53.507

Lattice parameters (Å, degrees): 4.183 4.183 4.183 60.00 60.00 60.00
Fractional coordinates of all 4 atoms:
H 0.000 0.000 0.000
Os 0.250 0.250 0.250
Os 0.750 0.750 0.750
W 0.500 0.500 0.500


No. 8
H2OsW: PBEsol geometry, SCAN.

Output
- raw total energy (eV per atom) = -35.985

Lattice parameters (Å, degrees): 3.733 3.733 3.733 60.00 60.00 60.00
Fractional coordinates of all 4 atoms:
H 0.250 0.250 0.250
H 0.750 0.750 0.750
Os 0.000 0.000 0.000
W 0.500 0.500 0.500


No. 9
YH3Os: PBEsol geometry, SCAN.

Output
- raw total energy (eV per atom) = -22.378

Lattice parameters (Å, degrees): 3.623 3.623 3.623 90.00 90.00 90.00
Fractional coordinates of all 5 atoms:
Y 0.000 0.000 0.000
H 0.000 0.500 0.500
H 0.500 0.000 0.500
H 0.500 0.500 0.000
Os 0.500 0.500 0.500


No. 10
ZnH3Os: PBEsol geometry, SCAN.

Output
- raw total energy (eV per atom) = -18.776

Lattice parameters (Å, degrees): 3.429 3.429 3.429 90.00 90.00 90.00
Fractional coordinates of all 5 atoms:
Zn 0.000 0.000 0.000
H 0.000 0.500 0.500
H 0.500 0.000 0.500
H 0.500 0.500 0.000
Os 0.500 0.500 0.500


No. 11
Back to the entry >
What we know about triggers:
- Firstly, triggers have NOTHING to do with being too sensitive
- Triggers can take many forms – they can be related to a physical place (like a location of where the trauma occurred), a day/date/time (such as the anniversary of a trauma), a smell or sound that takes you back to the trauma or sometimes triggers occur when internal stress escalates beyond tolerable levels.
## Inserted here: data records
- - -
(1)
DFT (GGA-PBE) results for crystalline Li2SnBr at its relaxed geometry.

Cell: 5.0277 5.0277 5.0277 Å, 60.00 60.00 60.00°
Closest atoms and distances in Å follow each position.
Fractional coordinates of all 4 atoms:
Li (0.2500, 0.2500, 0.2500)  4 Sn 3.08, 4 Br 3.08
Sn (0.5000, 0.5000, 0.5000)  8 Li 3.08
Br (0.0000, 0.0000, 0.0000)  8 Li 3.08
Li (0.7500, 0.7500, 0.7500)  4 Sn 3.08, 4 Br 3.08

Properties
As for the energy above the most stable polymorph in this dataset: 1.336 eV/f.u. As for the calculated volume: 22.47 A^3/atom. The value obtained for the formation energy (no corrections) is -0.2265 eV per atom. The value obtained for the density of states at the Fermi level is 3.72 states/eV/f.u.

(2)
DFT (GGA-PBE) results for crystalline ZrScCl2 at its relaxed geometry.

Cell: 3.1261 6.0487 4.3954 Å, 90.00 90.00 90.00°
Closest atoms and distances in Å follow each position.
Fractional coordinates of all 4 atoms:
Zr (0.0000, 0.5000, 0.5000)  4 Cl 2.70
Cl (0.5000, 0.5000, 0.0000)  4 Zr 2.70
Cl (0.0000, 0.0000, 0.0000)  4 Sc 2.70
Sc (0.5000, 0.0000, 0.5000)  4 Cl 2.70

Properties
As for the energy above the most stable polymorph in this dataset: 2.103 eV/f.u. As for the calculated volume: 20.78 A^3/atom. The value obtained for the formation energy (no corrections) is -0.8266 eV per atom. The value obtained for the density of states at the Fermi level is 2.68 states/eV/f.u.

(3)
DFT (GGA-PBE) results for crystalline SrSiAsBr2 at its relaxed geometry.

Cell: 5.7194 5.7194 6.3340 Å, 90.00 90.00 90.00°
Closest atoms and distances in Å follow each position.
Fractional coordinates of all 5 atoms:
As (0.0000, 0.0000, 0.5000)  2 Sr 3.17
Sr (0.0000, 0.0000, 0.0000)  4 Br 2.86, 2 As 3.17
Br (0.5000, 0.0000, 0.0000)  2 Sr 2.86
Si (0.5000, 0.5000, 0.5000)  4 As 4.04, 8 Br 4.27
Br (0.0000, 0.5000, 0.0000)  2 Sr 2.86

Properties
As for the energy above the most stable polymorph in this dataset: 3.357 eV/f.u. As for the calculated volume: 41.44 A^3/atom. The value obtained for the formation energy (no corrections) is 0.1305 eV per atom. The value obtained for the density of states at the Fermi level is 3.10 states/eV/f.u.

(4)
DFT (GGA-PBE) results for crystalline BaFe4Ru at its relaxed geometry.

Cell: 5.1577 5.1577 5.1577 Å, 60.00 60.00 60.00°
Closest atoms and distances in Å follow each position.
Fractional coordinates of all 6 atoms:
Fe (0.3772, 0.3772, 0.3772)  6 Fe 2.53-2.62
Ru (0.7500, 0.7500, 0.7500)  12 Fe 3.02, 4 Ba 3.16
Fe (0.3772, 0.3772, 0.8685)  6 Fe 2.53-2.62
Fe (0.3772, 0.8685, 0.3772)  6 Fe 2.53-2.62
Ba (0.0000, 0.0000, 0.0000)  12 Fe 3.03, 4 Ru 3.16
Fe (0.8685, 0.3772, 0.3772)  6 Fe 2.53-2.62

Properties
The value obtained for the formation enthalpy at 0 K is 0.677 eV/atom. As for the calculated volume: 16.17 A^3/atom. The value obtained for the density of states at the Fermi level is 6.21 states/eV/f.u.

These records have uncorrected energy values of -2.60, -5.47, -2.89, -6.83 eV per atom, in the order they appear.

* * * * *

10
- - -
## Back to the piece
- There are other mental health conditions where triggers are associated with recovery such as in substance abuse or eating disorders.
How triggers are formed:
- There are a few debates around this one – when we escalate to fight/flight a number of other bodily functions are taken offline while we’re busy with the primary function of staying alive. One of these functions include short-term memory formation. One belief around triggers is that our brain misfiles traumatic events in the ‘still-happening’ part of the brain, as opposed to recognising that the trauma has occurred in the past. Therefore, when we’re reminded of the traumatic event, our body reacts as if we are right there returning our body to that fight/flight mode.
- Another theory around this is that triggers are so powerful because they involve all of our senses – sights, sounds, smells and physiological responses. The more sensory information we store, the easier it is to recall. During a traumatic event, our brain ingrains sensory stimuli into our memory so when we encounter the same stimuli in another context we can be triggered. Oftentimes a sensory trigger can cause an emotional reaction before we even realise why we are upset.
- Lastly, habit is also involved – when we do the same things in the same way, our brain stores those patterns in non-linear ways that can be triggered when some part of the pattern comes up
Navigating triggers:
There are a number of different approaches that we might take at different stages of working with PTSD and C-PTSD. The first thing we need is to get curious about when or under what circumstances we are getting triggered. Our triggers are telling us something – they point to the healing that needs to happen but we need to start collecting all the different pieces of information about when / where / how it is happens for us and under what specific circumstances.
Then we might start to explore navigating body-mind approaches to regulating our fight/flight responses or triggers. This might look like relaxation, mindfulness / presence practices, meditation or grounding strategies.
Depending on how debilitating or invasive our triggers are we might choose to take steps to avoid situations or circumstances that we know might cause or exacerbate triggers.
• What comes next are calculated crystals, not part of the page:
____________
--- a ---
A plane-wave DFT calculation with GGA-PBE was carried out for crystalline DyHoErTl at its relaxed geometry.

abc: 4.824 4.830 4.834
angles: 90.00 90.00 90.00
Space group Pmmm (No. 47)
Symmetry-distinct sites (fractional):
Dy 0.000 0.000 0.000 (multiplicity 1)
Ho 0.500 0.500 0.000 (multiplicity 1)
Er 0.500 0.000 0.500 (multiplicity 1)
Tl 0.000 0.500 0.500 (multiplicity 1)

Output
Density of states at the Fermi level, states/eV per cell: 5.3

=====

--- b ---
A plane-wave DFT calculation with GGA-PBE was carried out for crystalline DyHoErTl at its relaxed geometry.

abc: 7.696 7.696 7.696
angles: 90.00 90.00 90.00
Space group F-43m (No. 216)
Symmetry-distinct sites (fractional):
Dy 0.000 0.000 0.000 (multiplicity 4)
Ho 0.000 0.000 0.500 (multiplicity 4)
Er 0.250 0.250 0.250 (multiplicity 4)
Tl 0.250 0.250 0.750 (multiplicity 4)

Output
Density of states at the Fermi level, states/eV per cell: 22.7

=====

Energies relative to the minimum, meV/atom: a 0; b 149

=====

--- a ---
A plane-wave DFT calculation with GGA-PBE was carried out for crystalline DyHoErTm at its relaxed geometry.

abc: 7.924 7.924 7.924
angles: 90.00 90.00 90.00
Space group F-43m (No. 216)
Symmetry-distinct sites (fractional):
Dy 0.000 0.000 0.000 (multiplicity 4)
Ho 0.000 0.000 0.500 (multiplicity 4)
Er 0.250 0.250 0.250 (multiplicity 4)
Tm 0.250 0.250 0.750 (multiplicity 4)

Output
Density of states at the Fermi level, states/eV per cell: 39.7

=====

--- b ---
A plane-wave DFT calculation with GGA-PBE was carried out for crystalline DyHoErTm at its relaxed geometry.

abc: 4.958 4.958 9.922
angles: 90.00 90.00 90.00
Space group I-4m2 (No. 119)
Symmetry-distinct sites (fractional):
Dy 0.000 0.000 0.000 (multiplicity 2)
Ho 0.000 0.500 0.250 (multiplicity 2)
Er 0.000 0.000 0.500 (multiplicity 2)
Tm 0.000 0.500 0.750 (multiplicity 2)

Output
Density of states at the Fermi level, states/eV per cell: 11.5

=====

Energies relative to the minimum, meV/atom: a 117; b 0

=====

--- a ---
A plane-wave DFT calculation with GGA-PBE was carried out for crystalline DyYHoEr at its relaxed geometry.

abc: 4.999 4.999 10.005
angles: 90.00 90.00 90.00
Space group I-4m2 (No. 119)
Symmetry-distinct sites (fractional):
Dy 0.000 0.000 0.000 (multiplicity 2)
Y 0.000 0.500 0.750 (multiplicity 2)
Ho 0.000 0.500 0.250 (multiplicity 2)
Er 0.000 0.000 0.500 (multiplicity 2)

Output
Density of states at the Fermi level, states/eV per cell: 11.8

=====

--- b ---
A plane-wave DFT calculation with GGA-PBE was carried out for crystalline DyYHoEr at its relaxed geometry.

abc: 7.990 7.990 7.990
angles: 90.00 90.00 90.00
Space group F-43m (No. 216)
Symmetry-distinct sites (fractional):
Dy 0.000 0.000 0.000 (multiplicity 4)
Y 0.000 0.000 0.500 (multiplicity 4)
Ho 0.250 0.250 0.250 (multiplicity 4)
Er 0.250 0.250 0.750 (multiplicity 4)

Output
Density of states at the Fermi level, states/eV per cell: 42.3

=====

Energies relative to the minimum, meV/atom: a 0; b 117

=====

--- a ---
____________
• So much for the calculated crystals:
Lastly, one of the reasons that I’m so committed to working with psychotherapeutic approaches to trauma recovery like EMDR, Compassionate Inquiry, Somatic Experiencing and Internal Family Systems is because these approaches work with the multi-sensory aspect of traumatic memories. Ultimately, we need to work through the traumatic events, processing them and the most empirically researched approaches to doing this work is in somatic psychotherapeutic approaches like these.
If you are struggling with triggers right now, we have a team of therapists at Thea Baker Wellbeing and we have IMMEDIATE availability – please reach out to us at: hello@theabaker.com.au / 03 9077 8194.